The reader should restate the part of the material below that starts with the line with "0.502 0.502" and stops after the one with "0.653 0.653".
____________
No. 1
This record from Alexandria via LeMat-Bulk describes a geometry-optimized Mn2PbF7 structure. The functional is PBE with a Hubbard U.

Summary:
Space-group type   I4/mmm
DFT total energy   -55.1 eV per cell
Magnetization   9.0 μB per cell

Cell lengths 9.465, 9.465, 9.465 Å; angles 157.60, 157.60, 31.89 degrees
Positions (direct):
Mn: 0.172 0.172 0.000
Mn: 0.828 0.828 0.000
Pb: 0.500 0.500 0.000
F: 0.000 0.000 0.000
F: 0.115 0.615 0.500
F: 0.250 0.750 0.500
F: 0.385 0.885 0.500
F: 0.615 0.115 0.500
F: 0.750 0.250 0.500
F: 0.885 0.385 0.500

No. 2
This record from Alexandria via LeMat-Bulk describes a geometry-optimized MnPb2F structure. The functional is PBE with a Hubbard U.

Summary:
Space-group type   Fm-3m
DFT total energy   -18.1 eV per cell
Magnetization   4.3 μB per cell

Cell lengths 5.009, 5.009, 5.009 Å; angles 60.00, 60.00, 60.00 degrees
Positions (direct):
Mn: 0.000 0.000 0.000
Pb: 0.250 0.250 0.250
Pb: 0.750 0.750 0.750
F: 0.500 0.500 0.500

No. 3
This record from Alexandria via LeMat-Bulk describes a geometry-optimized MnPb2F6 structure. The functional is PBE with a Hubbard U.

Summary:
Space-group type   P4_2/mnm
DFT total energy   -96.4 eV per cell
Magnetization   10.0 μB per cell

Cell lengths 5.437, 5.437, 11.176 Å; angles 90.00, 90.00, 90.00 degrees
Positions (direct):
Mn: 0.000 0.000 0.000
Mn: 0.500 0.500 0.500
Pb: 0.000 0.000 0.335
Pb: 0.000 0.000 0.665
Pb: 0.500 0.500 0.165
Pb: 0.500 0.500 0.835
F: 0.181 0.181 0.149
F: 0.181 0.181 0.851
F: 0.219 0.219 0.500
F: 0.281 0.719 0.000
F: 0.319 0.681 0.351
F: 0.319 0.681 0.649
F: 0.681 0.319 0.351
F: 0.681 0.319 0.649
F: 0.719 0.281 0.000
F: 0.781 0.781 0.500
F: 0.819 0.819 0.149
F: 0.819 0.819 0.851

No. 4
This record from Alexandria via LeMat-Bulk describes a geometry-optimized MnPbF4 structure. The functional is PBE with a Hubbard U.

Summary:
Space-group type   I4_1/a
DFT total energy   -67.5 eV per cell
Magnetization   10.0 μB per cell

Cell lengths 7.141, 7.141, 7.141 Å; angles 132.99, 132.99, 68.67 degrees
Positions (direct):
Mn: 0.375 0.125 0.250
Mn: 0.625 0.875 0.750
Pb: 0.125 0.375 0.750
Pb: 0.875 0.625 0.250
F: 0.093 0.274 0.304
F: 0.226 0.030 0.819
F: 0.289 0.593 0.319
F: 0.470 0.789 0.196
F: 0.530 0.211 0.804
F: 0.711 0.407 0.681
F: 0.774 0.970 0.181
F: 0.907 0.726 0.696

No. 5
This record from Alexandria via LeMat-Bulk describes a geometry-optimized MnPb2F8 structure. The functional is PBE with a Hubbard U.

Summary:
Space-group type   C2/m
DFT total energy   -53.8 eV per cell
Magnetization   3.6 μB per cell

Cell lengths 7.382, 7.382, 5.184 Å; angles 108.18, 108.18, 33.95 degrees
Positions (direct):
Mn: 0.000 0.000 0.000
Pb: 0.348 0.348 0.371
Pb: 0.652 0.652 0.629
F: 0.094 0.094 0.360
F: 0.115 0.115 0.890
F: 0.275 0.275 0.725
F: 0.498 0.498 0.241
F: 0.502 0.502 0.759
F: 0.725 0.725 0.275
F: 0.885 0.885 0.110
F: 0.906 0.906 0.640

No. 6
This record from Alexandria via LeMat-Bulk describes a geometry-optimized Mn2PbF6 structure. The functional is PBE with a Hubbard U.

Summary:
Space-group type   C2/m
DFT total energy   -53.1 eV per cell
Magnetization   10.0 μB per cell

Cell lengths 5.774, 5.774, 7.646 Å; angles 115.94, 115.94, 42.11 degrees
Positions (direct):
Mn: 0.174 0.174 0.101
Mn: 0.826 0.826 0.899
Pb: 0.000 0.000 0.500
F: 0.014 0.014 0.185
F: 0.285 0.285 0.914
F: 0.347 0.347 0.385
F: 0.653 0.653 0.615
F: 0.715 0.715 0.086
F: 0.986 0.986 0.815

No. 7
This record from Alexandria via LeMat-Bulk describes a geometry-optimized MnPb2F structure. The functional is PBE with a Hubbard U.

Summary:
Space-group type   I-42d
DFT total energy   -35.6 eV per cell
Magnetization   9.7 μB per cell

Cell lengths 8.927, 8.927, 8.927 Å; angles 145.39, 145.39, 49.76 degrees
Positions (direct):
Mn: 0.000 0.000 0.000
Mn: 0.750 0.250 0.500
Pb: 0.211 0.625 0.086
Pb: 0.375 0.461 0.586
Pb: 0.539 0.125 0.914
Pb: 0.875 0.789 0.414
F: 0.250 0.750 0.500
F: 0.500 0.500 0.000

No. 8
____________
F: 0.502 0.502 0.759
F: 0.725 0.725 0.275
F: 0.885 0.885 0.110
F: 0.906 0.906 0.640

No. 6
This record from Alexandria via LeMat-Bulk describes a geometry-optimized Mn2PbF6 structure. The functional is PBE with a Hubbard U.

Summary:
Space-group type   C2/m
DFT total energy   -53.1 eV per cell
Magnetization   10.0 μB per cell

Cell lengths 5.774, 5.774, 7.646 Å; angles 115.94, 115.94, 42.11 degrees
Positions (direct):
Mn: 0.174 0.174 0.101
Mn: 0.826 0.826 0.899
Pb: 0.000 0.000 0.500
F: 0.014 0.014 0.185
F: 0.285 0.285 0.914
F: 0.347 0.347 0.385
F: 0.653 0.653 0.615